Beware! North Pacific Land Management MY Review
Here I go again with some MAJOR whines. Refresher: last year we hired North Pacific Land Management to help with our property. Our land (11 acres) was very overgrown and needed some thinning. We are always very aware of fire season. I am so paranoid that we could lose everything. We are surrounded by a lot of trees and bushes. Some are dead. Like brown, standing eye sores. North Pacific Land Management came out and explained they would thin out the trees. They would take the trees they cut down and sell them. This is considered their payment. That’s fine. We still were going to be winners. Our existing trees would…
April 7th Photo-A-Day When I Wake Up
Photo-A-Day When I wake up. Prepare to be jealous. I still can’t believe the amazing view we are blessed with. When we lived in California our view was bumper to bumper cars on the street. An apartment complex. A yard with dirt so hard that nothing would grow and a house that seemed to shrink every year. Our new master bedroom is bigger than 4 rooms combined in the Vista house. The area of town we lived in was getting worse and worse by the day. Even with double paned windows the noise outside from stereos, cars and what seemed to be endless parties would make the walls shake. Our…
_Records of crystals, kept here for reference_
Record 1
A plane-wave DFT calculation with PBE was carried out for an optimized crystal structure of Li2CdPb.

Geometry as CIF:
```
data_Li2CdPb
_cell_length_a 4.7099
_cell_length_b 4.7099
_cell_length_c 8.4068
_cell_angle_alpha 90.00
_cell_angle_beta 90.00
_cell_angle_gamma 120.00
_space_group_name_H-M_alt 'P 63/m m c'
_space_group_IT_number 194
_space_group_name_Hall '-P 6c 2c'
loop_
_atom_site_label
_atom_site_fract_x
_atom_site_fract_y
_atom_site_fract_z
Li1 0.3333 0.6667 0.0857
Cd1 0.0000 0.0000 0.0000
Pb1 0.3333 0.6667 0.7500
```

=====

Record 2
# WN PBE optimized geometry
data_WN
_cell_length_a 5.773
_cell_length_b 2.856
_cell_length_c 4.975
_cell_angle_alpha 90.00
_cell_angle_beta 90.00
_cell_angle_gamma 90.00
_space_group_name_H-M_alt 'P n m a'
_space_group_IT_number 62
_space_group_name_Hall '-P 2ac 2n'
loop_
_atom_site_label
_atom_site_fract_x
_atom_site_fract_y
_atom_site_fract_z
W1 0.000 0.250 0.234
N1 0.237 0.250 0.583
# magnetization: 0.00 Bohr magnetons per cell

=====

Record 3
# IrS3Cl11 PBE optimized geometry
data_IrS3Cl11
_cell_length_a 8.119
_cell_length_b 13.369
_cell_length_c 15.184
_cell_angle_alpha 90.00
_cell_angle_beta 105.54
_cell_angle_gamma 90.00
_space_group_name_H-M_alt 'P 1 21/c 1'
_space_group_IT_number 14
_space_group_name_Hall '-P 2ybc'
loop_
_atom_site_label
_atom_site_fract_x
_atom_site_fract_y
_atom_site_fract_z
Ir1 0.101 0.091 0.304
S1 0.074 0.520 0.121
S2 0.124 0.548 0.728
S3 0.386 0.232 0.940
Cl1 0.033 0.237 0.382
Cl2 0.055 0.133 0.630
Cl3 0.110 0.640 0.329
Cl4 0.175 0.514 0.606
Cl5 0.316 0.184 0.259
Cl6 0.318 0.058 0.442
Cl7 0.326 0.545 0.184
Cl8 0.341 0.627 0.789
Cl9 0.353 0.085 0.896
Cl10 0.354 0.746 0.538
Cl11 0.373 0.211 0.072
# magnetization: 0.02 Bohr magnetons per cell

=====

Record 4
A plane-wave DFT calculation with PBE was carried out for an optimized crystal structure of AlPdO2.

Geometry as CIF:
```
data_AlPdO2
_cell_length_a 2.8462
_cell_length_b 2.8462
_cell_length_c 17.9666
_cell_angle_alpha 90.00
_cell_angle_beta 90.00
_cell_angle_gamma 120.00
_space_group_name_H-M_alt 'R -3 m'
_space_group_IT_number 166
_space_group_name_Hall '-R 3 2"'
loop_
_atom_site_label
_atom_site_fract_x
_atom_site_fract_y
_atom_site_fract_z
Al1 0.0000 0.0000 0.0000
Pd1 0.0000 0.0000 0.5000
O1 0.0000 0.0000 0.3867
```

=====

Record 5
# PaPdNO PBE optimized geometry
data_PaPdNO
_cell_length_a 5.564
_cell_length_b 7.900
_cell_length_c 4.997
_cell_angle_alpha 90.00
_cell_angle_beta 90.00
_cell_angle_gamma 90.00
_space_group_name_H-M_alt 'P c a 21'
_space_group_IT_number 29
_space_group_name_Hall 'P 2c -2ac'
loop_
_atom_site_label
_atom_site_fract_x
_atom_site_fract_y
_atom_site_fract_z
Pa1 0.032 0.180 0.000
Pd1 0.137 0.544 0.007
N1 0.105 0.269 0.506
O1 0.249 0.970 0.752
# magnetization: 0.00 Bohr magnetons per cell

=====

Record 6
# GaB4W PBE optimized geometry
data_GaB4W
_cell_length_a 2.977
_cell_length_b 5.285
_cell_length_c 6.934
_cell_angle_alpha 90.00
_cell_angle_beta 90.00
_cell_angle_gamma 90.00
_Back to the entry_
Gardening! Me?! Yup It’s True!!
I’ve never been one to enjoy gardening. I’ve always called it yard WORK with such a tone of dread. I would much rather do anything; absolutely ANYTHING else. Then Sandpoint Idaho happened to me. Now I have two area’s in the front of the house. Small areas that are so full of blooms and colors that go out a weed and fuss everyday. WITH A SMILE on my face?! What has happened to me?!?! You know my Mom is up in heaven looking down and laughing like crazy. With the help of my girl friends I’ve been able to add names to a few. However, there are several we can’t…
How Do You Make New Friends??
My dear little Peanuts I need your help again. I am 14 days out for the move to Idaho. I’m a big ole pile of emotions. A little nervous (soooooooo lying VERY nervous), a little excited (again…… so lying……VERY excited) and a hefty mix of little dread (NOT lying!). I need help! How do YOU make new friends? As a kid you’re parents move you. You have very little say in the matter. (NO matter what your parents tell you. Sorry kids!) The kids go to school you make new friends. Viola (hopefully) they are happier than ever!! Yes, it takes a little time, but kids are pretty resilient. How…